Exercise.
Next, type out the calculation results below character by character.

File.
-- begin --
# 1
{
  "formula": "C4H6N2O",
  "method": "ωB97M-V/def2-TZVPD",
  "max_force_ev_per_a": 1.15,
  "smiles": "[H]/N=C(\\C#N)OCC",
  "gap_ev": 11.46,
  "e_lumo_ev": 0.60,
  "homo_ev": -10.858,
  "species": ["H", "N", "C", "C", "N", "O", "C", "C", "H", "H", "H", "H", "H"],
  "xyz": [[0.573368, 0.128540, -2.771781], [0.670030, 0.192387, -1.761707], [-0.439301, 0.432949, -1.202090], [-1.710939, 0.585422, -1.913783], [-2.686268, 0.687558, -2.526098], [-0.630338, 0.588475, 0.107087], [0.508287, 0.423482, 0.978378], [0.477274, -0.951973, 1.613879], [1.424148, 0.588862, 0.407913], [0.393173, 1.211376, 1.725827], [0.582798, -1.736959, 0.859003], [1.299870, -1.045121, 2.330571], [-0.462103, -1.105000, 2.152801]],
  "forces_ev_per_a": [[-0.026, 0.000, 0.115], [-0.348, 0.036, 0.126], [0.207, -0.049, -0.144], [-0.851, 0.084, -0.608], [0.972, -0.095, 0.604], [-0.055, 0.003, -0.122], [0.177, 0.019, 0.116], [-0.014, -0.038, 0.021], [-0.127, -0.004, 0.090], [0.038, -0.103, -0.080], [0.006, 0.122, 0.092], [-0.091, 0.008, -0.126], [0.112, 0.017, -0.084]]
}

# 2
{
  "formula": "C5H11N2O",
  "method": "ωB97M-V/def2-TZVPD",
  "total_charge": -1,
  "max_force_ev_per_a": 2.45,
  "gap_ev": 6.85,
  "e_lumo_ev": 4.12,
  "homo_ev": -2.729,
  "species": ["C", "N", "C", "O", "H", "H", "H", "H", "H", "H", "C", "C", "C", "N", "H", "H", "H", "H", "H"],
  "xyz": [[0.392191, -2.062092, 2.509920], [1.142308, -2.348867, 1.283185], [0.335278, -1.951232, 0.081004], [0.026505, -0.639522, -0.003262], [0.008350, -1.040995, 2.552644], [1.019971, -2.241247, 3.414703], [-0.488433, -2.707559, 2.524166], [1.967618, -1.742145, 1.267048], [-0.608328, -2.600506, 0.155372], [0.911836, -2.342676, -0.777319], [-0.854145, 2.040962, -0.385465], [-2.018317, 2.537725, -0.885793], [0.589333, 1.238599, -2.022043], [0.381103, 2.074851, -1.062753], [-0.802885, 1.627156, 0.576259], [-2.022987, 3.035204, -1.865776], [-2.930299, 2.437444, -0.282658], [1.535705, 1.311825, -2.563794], [-0.132500, 0.474005, -2.303303]],
  "forces_ev_per_a": [[0.480, -0.006, 0.095], [0.041, 0.019, 0.218], [-1.101, 0.635, 0.338], [0.321, -0.732, 0.001], [0.070, 0.247, -0.044], [-0.429, -0.046, -0.548], [0.063, -0.201, 0.170], [-0.344, -0.094, -0.006], [0.687, 0.131, -0.019], [0.179, -0.091, -0.199], [-1.033, 0.830, -2.057], [1.212, -0.400, 0.499], [-0.400, 1.358, 1.473], [0.013, -0.737, -1.363], [0.128, -0.717, 1.143], [-0.211, -0.350, 0.448], [0.418, 0.261, -0.411], [-0.112, -0.090, 0.157], [0.020, -0.017, 0.107]]
}

# 3
{
  "formula": "C9H8Br2O",
  "method": "ωB97M-V/def2-TZVPD",
  "max_force_ev_per_a": 5.46,
  "gap_ev": [5.91, 8.09],
  "e_lumo_ev": [-0.85, -0.18],
  "homo_ev": [-6.769, -8.274],
  "species": ["C", "C", "C", "C", "C", "C", "C", "C", "C", "O", "Br", "Br", "H", "H", "H", "H", "H", "H", "H", "H"],
  "xyz": [[0.501743, 0.449667, -2.757732], [0.543629, 1.451113, -1.808037], [-0.158770, -0.804836, -2.451611], [0.281119, 1.138096, -0.488062], [-0.743361, -0.977215, -1.199846], [-0.410114, -0.041314, -0.189668], [-0.216669, 0.418117, 2.407382], [-0.849151, -0.271275, 1.211256], [1.183613, -0.083896, 2.690244], [-1.688515, -1.197640, 1.604311], [2.578989, 0.404259, 1.431171], [1.272234, -2.034204, 2.979207], [0.864748, 0.610029, -3.857564], [0.849400, 2.368209, -2.058819], [-0.368628, -1.595021, -3.044955], [0.516233, 1.942620, 0.095683], [-1.354487, -1.699870, -0.853665], [-0.279644, 1.602866, 2.273113], [-0.790386, 0.108519, 3.156020], [-1.731985, -1.788223, 0.861572]],
  "forces_ev_per_a": [[-0.777, -1.822, -2.502], [-0.405, -4.135, 0.271], [0.043, 3.073, 2.610], [-1.094, -0.993, -2.323], [3.106, 3.959, -0.101], [-0.728, -0.212, 2.219], [1.456, 3.333, -4.067], [2.545, 2.660, -0.385], [0.494, -1.000, -1.248], [-0.433, -0.930, -0.221], [-0.376, 0.027, 0.779], [-0.177, 0.920, 0.092], [-0.717, -0.219, 2.300], [1.379, 3.365, -0.860], [-0.027, -1.928, -2.789], [0.137, 1.347, 2.436], [-1.802, -2.965, 0.001], [0.460, -2.505, 0.522], [-2.389, -0.813, 3.586], [-0.695, -1.160, -0.320]]
}

~~~~~

Record 1
-- stop --

Completed.
# 1
{
  "formula": "C4H6N2O",
  "method": "ωB97M-V/def2-TZVPD",
  "max_force_ev_per_a": 1.15,
  "smiles": "[H]/N=C(\\C#N)OCC",
  "gap_ev": 11.46,
  "e_lumo_ev": 0.60,
  "homo_ev": -10.858,
  "species": ["H", "N", "C", "C", "N", "O", "C", "C", "H", "H", "H", "H", "H"],
  "xyz": [[0.573368, 0.128540, -2.771781], [0.670030, 0.192387, -1.761707], [-0.439301, 0.432949, -1.202090], [-1.710939, 0.585422, -1.913783], [-2.686268, 0.687558, -2.526098], [-0.630338, 0.588475, 0.107087], [0.508287, 0.423482, 0.978378], [0.477274, -0.951973, 1.613879], [1.424148, 0.588862, 0.407913], [0.393173, 1.211376, 1.725827], [0.582798, -1.736959, 0.859003], [1.299870, -1.045121, 2.330571], [-0.462103, -1.105000, 2.152801]],
  "forces_ev_per_a": [[-0.026, 0.000, 0.115], [-0.348, 0.036, 0.126], [0.207, -0.049, -0.144], [-0.851, 0.084, -0.608], [0.972, -0.095, 0.604], [-0.055, 0.003, -0.122], [0.177, 0.019, 0.116], [-0.014, -0.038, 0.021], [-0.127, -0.004, 0.090], [0.038, -0.103, -0.080], [0.006, 0.122, 0.092], [-0.091, 0.008, -0.126], [0.112, 0.017, -0.084]]
}

# 2
{
  "formula": "C5H11N2O",
  "method": "ωB97M-V/def2-TZVPD",
  "total_charge": -1,
  "max_force_ev_per_a": 2.45,
  "gap_ev": 6.85,
  "e_lumo_ev": 4.12,
  "homo_ev": -2.729,
  "species": ["C", "N", "C", "O", "H", "H", "H", "H", "H", "H", "C", "C", "C", "N", "H", "H", "H", "H", "H"],
  "xyz": [[0.392191, -2.062092, 2.509920], [1.142308, -2.348867, 1.283185], [0.335278, -1.951232, 0.081004], [0.026505, -0.639522, -0.003262], [0.008350, -1.040995, 2.552644], [1.019971, -2.241247, 3.414703], [-0.488433, -2.707559, 2.524166], [1.967618, -1.742145, 1.267048], [-0.608328, -2.600506, 0.155372], [0.911836, -2.342676, -0.777319], [-0.854145, 2.040962, -0.385465], [-2.018317, 2.537725, -0.885793], [0.589333, 1.238599, -2.022043], [0.381103, 2.074851, -1.062753], [-0.802885, 1.627156, 0.576259], [-2.022987, 3.035204, -1.865776], [-2.930299, 2.437444, -0.282658], [1.535705, 1.311825, -2.563794], [-0.132500, 0.474005, -2.303303]],
  "forces_ev_per_a": [[0.480, -0.006, 0.095], [0.041, 0.019, 0.218], [-1.101, 0.635, 0.338], [0.321, -0.732, 0.001], [0.070, 0.247, -0.044], [-0.429, -0.046, -0.548], [0.063, -0.201, 0.170], [-0.344, -0.094, -0.006], [0.687, 0.131, -0.019], [0.179, -0.091, -0.199], [-1.033, 0.830, -2.057], [1.212, -0.400, 0.499], [-0.400, 1.358, 1.473], [0.013, -0.737, -1.363], [0.128, -0.717, 1.143], [-0.211, -0.350, 0.448], [0.418, 0.261, -0.411], [-0.112, -0.090, 0.157], [0.020, -0.017, 0.107]]
}

# 3
{
  "formula": "C9H8Br2O",
  "method": "ωB97M-V/def2-TZVPD",
  "max_force_ev_per_a": 5.46,
  "gap_ev": [5.91, 8.09],
  "e_lumo_ev": [-0.85, -0.18],
  "homo_ev": [-6.769, -8.274],
  "species": ["C", "C", "C", "C", "C", "C", "C", "C", "C", "O", "Br", "Br", "H", "H", "H", "H", "H", "H", "H", "H"],
  "xyz": [[0.501743, 0.449667, -2.757732], [0.543629, 1.451113, -1.808037], [-0.158770, -0.804836, -2.451611], [0.281119, 1.138096, -0.488062], [-0.743361, -0.977215, -1.199846], [-0.410114, -0.041314, -0.189668], [-0.216669, 0.418117, 2.407382], [-0.849151, -0.271275, 1.211256], [1.183613, -0.083896, 2.690244], [-1.688515, -1.197640, 1.604311], [2.578989, 0.404259, 1.431171], [1.272234, -2.034204, 2.979207], [0.864748, 0.610029, -3.857564], [0.849400, 2.368209, -2.058819], [-0.368628, -1.595021, -3.044955], [0.516233, 1.942620, 0.095683], [-1.354487, -1.699870, -0.853665], [-0.279644, 1.602866, 2.273113], [-0.790386, 0.108519, 3.156020], [-1.731985, -1.788223, 0.861572]],
  "forces_ev_per_a": [[-0.777, -1.822, -2.502], [-0.405, -4.135, 0.271], [0.043, 3.073, 2.610], [-1.094, -0.993, -2.323], [3.106, 3.959, -0.101], [-0.728, -0.212, 2.219], [1.456, 3.333, -4.067], [2.545, 2.660, -0.385], [0.494, -1.000, -1.248], [-0.433, -0.930, -0.221], [-0.376, 0.027, 0.779], [-0.177, 0.920, 0.092], [-0.717, -0.219, 2.300], [1.379, 3.365, -0.860], [-0.027, -1.928, -2.789], [0.137, 1.347, 2.436], [-1.802, -2.965, 0.001], [0.460, -2.505, 0.522], [-2.389, -0.813, 3.586], [-0.695, -1.160, -0.320]]
}

~~~~~

Record 1